Exercise.
Say how many lines of the listing underneath hold the word "Here", as a bare number.

Excerpt.
........
! GGA+U CrBPtF2, relaxed; values from VASP
&SYSTEM
  ibrav = 0, nat = 5, ntyp = 4
/
ATOMIC_SPECIES
F 19.00 F.upf
B 10.81 B.upf
Cr 52.00 Cr.upf
Pt 195.08 Pt.upf
ATOMIC_POSITIONS crystal
F 0.000 0.000 0.500
B 0.000 0.500 0.000
Cr 0.000 0.000 0.000
F 0.500 0.000 0.000
Pt 0.500 0.500 0.500
CELL_PARAMETERS angstrom
-1.717 2.557 1.802
-0.877 -3.627 4.311
3.080 1.021 1.486
! VASP energy, eV for the cell shown: -24.17
! N(E_F), states/eV/cell: 5.02
! M_tot, μB/atom: 0.252

~~~~~

Here is crystalline Cu2BF at its relaxed geometry from the Alexandria database. Energies are from PBE.

```
Cu2BF
1.0
-0.9336 2.8605 2.4244
0.9922 3.6404 -0.8337
-2.7157 2.5640 -0.9915
Cu F B
2 1 1
Direct
0.7500 0.7500 0.7500
0.2500 0.2500 0.2500
0.5000 0.5000 0.5000
0.0000 0.0000 0.0000
```

## Properties
Total moment (μB per atom): 0.00
ΔE_f (raw) (eV/atom): 0.2700
SG: Fm-3m, No. 225
Excess energy over the best structure of this formula in the dataset (meV per atom): 326
........

Outcome.
1